Request:
What is needed: count the lines below that contain the word "C18H14FN5" and give the number alone.

Entries:
~~~
ORCA calculation (ωB97M-V with the def2-TZVPD basis set) on a single C18H14F3N3O2S molecule.

Multiplicity   1
Structure (SMILES)   O=C(CSc1nc(-c2ccccc2)cc(C(F)(F)F)n1)NCc1ccco1
LUMO energy   -0.31 eV
Frontier orbital gap   8.54 eV
E_tot   -46447.115 eV

```
41
Properties=species:S:1:pos:R:3:nbo_charge:R:1
O -0.550 1.721 -1.423 -0.633
C -0.840 0.575 -1.685 0.683
N 0.019 -0.319 -2.203 -0.613
H -0.301 -1.256 -2.405 0.408
C 1.385 0.018 -2.557 -0.273
C 1.648 -0.249 -4.001 0.255
C 2.227 -1.313 -4.631 -0.302
C 2.163 -1.034 -6.018 -0.318
C 1.545 0.173 -6.125 0.093
O 1.229 0.653 -4.913 -0.393
H 1.284 0.773 -6.974 0.204
H 2.527 -1.647 -6.816 0.229
H 2.652 -2.179 -4.168 0.227
H 2.081 -0.565 -1.946 0.213
H 1.503 1.083 -2.338 0.256
C -2.251 0.044 -1.460 -0.623
H -2.759 0.673 -0.730 0.265
H -2.801 0.055 -2.402 0.251
S -2.294 -1.684 -0.888 0.292
C -1.522 -1.499 0.661 0.263
N -1.261 -0.276 1.082 -0.488
C -0.687 -0.128 2.273 0.251
C -0.344 -1.261 3.032 -0.290
C -0.670 -2.488 2.483 0.150
N -1.262 -2.628 1.308 -0.448
C -0.334 -3.782 3.190 0.956
F -0.020 -3.583 4.481 -0.324
F 0.730 -4.385 2.634 -0.316
F -1.338 -4.660 3.169 -0.305
H 0.158 -1.190 3.981 0.242
C -0.438 1.237 2.730 -0.034
C -0.357 2.272 1.796 -0.194
C -0.120 3.567 2.215 -0.197
C 0.027 3.850 3.564 -0.191
C -0.067 2.829 4.497 -0.215
C -0.296 1.530 4.088 -0.202
H -0.391 0.751 4.828 0.210
H 0.035 3.048 5.550 0.216
H 0.210 4.863 3.890 0.215
H -0.052 4.358 1.484 0.219
H -0.469 2.052 0.746 0.262
```



ORCA calculation (ωB97M-V with the def2-TZVPD basis set) on a molecular structure, C18H14FN5.

Multiplicity   1
LUMO energy   -0.95 eV
Frontier orbital gap   6.66 eV
E_tot   -29057.862 eV

```
38
Properties=species:S:1:pos:R:3:nbo_charge:R:1
F 3.520 4.162 1.052 -0.334
C 3.232 2.814 0.991 0.392
C 4.268 1.938 1.328 -0.251
C 3.950 0.574 1.273 -0.213
C 2.649 0.141 1.004 -0.106
C 1.576 1.015 0.708 -0.120
C 0.226 0.467 0.738 0.082
C -0.921 1.390 0.728 -0.058
C -2.176 0.811 0.460 -0.192
C -3.384 1.438 0.724 -0.199
C -3.427 2.742 1.211 -0.188
C -2.207 3.391 1.434 -0.223
C -0.983 2.739 1.266 -0.209
C 1.931 2.411 0.671 -0.255
H 5.256 2.290 1.638 0.241
H 4.721 -0.167 1.478 0.224
H 2.432 -0.918 1.074 0.199
H 0.078 -0.410 1.515 0.261
H -2.185 -0.182 0.038 0.262
H -4.299 0.888 0.565 0.217
H -4.370 3.246 1.412 0.219
H -2.201 4.419 1.815 0.220
H -0.098 3.274 1.677 0.220
H 1.213 3.221 0.484 0.245
N -0.629 -4.919 -3.185 -0.794
C -0.914 -3.704 -2.637 0.406
N -2.049 -3.117 -3.019 -0.526
C -2.422 -1.973 -2.452 0.266
N -1.715 -1.258 -1.544 -0.548
C -0.483 -1.624 -1.266 0.337
C -0.064 -2.994 -1.714 -0.026
N 0.861 -3.463 -0.821 -0.457
C 1.110 -2.405 0.027 0.155
N 0.389 -1.226 -0.260 -0.446
H 0.123 -5.540 -2.866 0.412
H -1.431 -5.347 -3.677 0.405
H -3.383 -1.565 -2.753 0.180
H 1.806 -2.561 0.882 0.203
```



ORCA calculation (ωB97M-V with the def2-TZVPD basis set) on a molecular structure, C18H14N5O2W.

Multiplicity   1
Net charge   +3
LUMO energy (spin up / spin down)   -13.33 / -13.33 eV
Frontier orbital gap (spin up / spin down)   5.94 / 5.94 eV
E_tot   -32232.310 eV

```
40
Properties=species:S:1:pos:R:3:nbo_charge:R:1
W 0.458 0.311 0.048 2.176
O 2.072 1.139 0.056 -0.553
C 1.909 1.343 -1.291 0.143
C 2.802 0.738 -2.195 -0.144
C 2.893 1.189 -3.507 -0.138
C 2.101 2.249 -3.944 -0.058
C 1.196 2.864 -3.089 -0.131
C 1.043 2.430 -1.763 -0.117
C 0.316 3.132 -0.708 0.261
N -0.131 2.374 0.237 -0.496
C -0.460 2.835 1.582 -0.247
C 0.337 1.891 2.535 -0.248
N 0.084 0.527 2.035 -0.510
C -0.729 -0.314 2.645 0.256
C -1.462 -1.314 1.938 -0.231
C -2.064 -2.393 2.640 -0.081
C -2.950 -3.249 2.025 -0.186
C -3.336 -3.023 0.704 -0.043
C -2.781 -1.970 -0.023 -0.277
C -1.819 -1.148 0.541 0.397
O -1.283 -0.091 -0.159 -0.597
H 3.511 0.018 -1.794 0.274
H 3.631 0.747 -4.164 0.282
H 2.215 2.614 -4.956 0.281
H 0.592 3.688 -3.446 0.275
H 0.265 4.226 -0.688 0.264
H -1.541 2.721 1.759 0.252
H -0.181 3.884 1.742 0.266
H -0.001 2.030 3.569 0.274
H 1.423 2.107 2.470 0.254
H -0.934 -0.198 3.714 0.270
H -1.803 -2.546 3.676 0.260
~~~

Here it is:
1